History & Culture
A Cultural Mosaic
(Between two parts of the article: materials data)
-- begin --
Entry 1:
# PrSnHg (GGA-PBE, relaxed)
# - Uncorrected energy: -42.57 eV for the cell shown
# - E_form: -150 kJ/mol of formula units
# - Calculated density: 9.3 g cm⁻³
data_PrSnHg
_space_group_name_H-M_alt 'I m m 2'
_space_group_IT_number 44
_cell_length_a 4.7167
_cell_length_b 7.5568
_cell_length_c 9.1973
_cell_angle_alpha 90.00
_cell_angle_beta 90.00
_cell_angle_gamma 90.00
loop_
_space_group_symop_operation_xyz
'x,y,z'
'-x,-y,z'
'-x,y,z'
'x,-y,z'
'x+1/2,y+1/2,z+1/2'
'-x+1/2,-y+1/2,z+1/2'
'-x+1/2,y+1/2,z+1/2'
'x+1/2,-y+1/2,z+1/2'
loop_
_atom_site_label
_atom_site_type_symbol
_atom_site_fract_x
_atom_site_fract_y
_atom_site_fract_z
Pr1 Pr 0.0000 0.0000 0.0000
Pr2 Pr 0.0000 0.5000 0.1090
Sn1 Sn 0.0000 0.2100 0.3942
Hg1 Hg 0.0000 0.3024 0.7111


Entry 2:
# MnTePt2 (GGA-PBE, relaxed)
# - Uncorrected energy: -24.93 eV for the cell shown
# - Calculated density: 13.5 g cm⁻³
# - Formation energy from raw total energies: -0.13 eV per atom
data_MnTePt2
_space_group_name_H-M_alt 'P m m m'
_space_group_IT_number 47
_cell_length_a 3.5256
_cell_length_b 3.5497
_cell_length_c 5.6124
_cell_angle_alpha 90.00
_cell_angle_beta 90.00
_cell_angle_gamma 90.00
loop_
_space_group_symop_operation_xyz
'x,y,z'
'-x,-y,-z'
'-x,-y,z'
'x,y,-z'
'x,-y,-z'
'-x,y,z'
'-x,y,-z'
'x,-y,z'
loop_
_atom_site_label
_atom_site_type_symbol
_atom_site_fract_x
_atom_site_fract_y
_atom_site_fract_z
Mn1 Mn 0.0000 0.0000 0.0000
Te1 Te 0.0000 0.0000 0.5000
Pt1 Pt 0.5000 0.5000 0.2365


Entry 3:
# Ca2PmNd2 (GGA-PBE, relaxed)
# - Uncorrected energy: -36.25 eV for the cell shown
# - E_form: 16 kJ/mol of formula units
# - Offset from the most stable computed form: 0 meV per atom
# - Calculated density: 4.6 g cm⁻³
data_Ca2PmNd2
_space_group_name_H-M_alt 'C 1 2/m 1'
_space_group_IT_number 12
_cell_length_a 6.4558
_cell_length_b 3.7226
_cell_length_c 15.7198
_cell_angle_alpha 90.00
_cell_angle_beta 98.04
_cell_angle_gamma 90.00
loop_
_space_group_symop_operation_xyz
'x,y,z'
'-x,-y,-z'
'-x,y,-z'
'x,-y,z'
'x+1/2,y+1/2,z'
'-x+1/2,-y+1/2,-z'
'-x+1/2,y+1/2,-z'
'x+1/2,-y+1/2,z'
loop_
_atom_site_label
_atom_site_type_symbol
_atom_site_fract_x
_atom_site_fract_y
_atom_site_fract_z
Ca1 Ca 0.2009 0.0000 0.1060
Pm1 Pm 0.0000 0.0000 0.5000
Nd1 Nd 0.1036 0.5000 0.3121

----------

! LiTiZnH, optimized geometry, DFT PBE; values from VASP
&SYSTEM
  ibrav = 0, nat = 4, ntyp = 4
/
ATOMIC_SPECIES
Li 6.94 Li.upf
Ti 47.87 Ti.upf
Zn 65.41 Zn.upf
H 1.01 H.upf
ATOMIC_POSITIONS angstrom
Li -0.955 -0.974 1.839
Ti -1.895 -0.231 4.476
Zn -2.311 1.050 2.011
H -1.708 -1.741 3.288
CELL_PARAMETERS angstrom
-0.049 3.352 1.749
-2.793 0.561 -1.154
-1.908 -1.945 3.674
! Symmetry ... Pmm2, No. 25
! D(E_F) ... 0.4419 states/eV per atom
! Electronic total energy ... -14.1 eV for the cell shown
! Magnetic moment ... 0.00 μB/cell
! Polymorph energy (0 for the lowest one) ... 282 meV per atom
-- stop --
The North Coast carries with it a strong history and we are honoured to live here, every day in the shadows of these great heroes and pioneers.
When President Nelson Mandela officially renamed the Dolphin Coast’s commercial rallying point, adding a significant Zulu title to the town’s existing colonial moniker, our rich and intricate history was finally afforded its deserved recognition. For the town of Stanger – named after the first Surveyor-General to the province and proclaimed a magisterial seat in 1873 – was built on the site of dynastic King Shaka’s crowning glory and final resting place. This was the royal settlement he called ‘Dukuza’ to proclaim the ‘maze’ of several thousand huts encircling his enormous regal dwelling. KwaDukuza-Stanger and its immediate environs offer today’s visitor fascinating insights into our region’s formative processes.

Rise to Glory
Between his coronation in 1816 and construction of Dukuza in the mid- to late 1820’s, King Shaka and his army of fearless footsoldiers traversed the length and breadth of modern-day KwaZulu-Natal province, subjugating all in their path with the king’s innovative new weaponry and battle-strategies. Gone were the throwing- spear and small shield of his forefathers – standard issue during three centuries’ of inter-clan warfare – replaced by the stabbing- spear and full-length body-shield. These were designed to facilitate Shaka’s lethal new concept – encircling his enemy with a horn- shaped pincer movement and engaging in highly effective hand-to-hand combat.
Mustering the Realm
King Shaka ordered the construction of several, far-flung royal settlements and military camps during this consolidation of his Zulu empire – the ‘barracks’ at present-day Shakaskraal and Umhlali were built when the king moved into permanent residence at Dukuza following the death of his mother. It was she – Princess Nandi of the Elangeni clan – who bestowed on Shaka the name ‘Ilembe’ to praise the ‘wisdom and courage’ of her son the king. This shift of the ‘Royal Seat’ was prompted by Shaka’s declared fondness for the Dolphin Coast’s natural beauty, sweet drinking water and lush grazing, plus its close proximity to the white traders, settlers and colonial figureheads based at Port Natal, with whom the king had already established a working relationship. Elephant tusks, animal skins, meat and sea-salt were exchanged for cloth, beads and other trinkets.
Friends and Enemies
Shaka Zulu also provided ‘safe passage’ for his white trading partners on their forays into the bush, and saw his diplomacy repaid when Henry Francis Fynn aided the king’s recovery from an assassination attempt at his northernmost settlement. Ironically, it was from the diaries of another white acquaintance – Nathaniel Isaacs – that details finally emerged of King Shaka’s death on September 22, 1828. Planned by a jealous aunt, the king’s demise had come at the hands of his half-brothers Dingane and Mhlangana, aided by a treacherous royal bodyguard. These three had feigned exhaustion to remain at Dukuza when Shaka dispatched his army to quell an uprising in the northern reaches of his kingdom. Dingane immediately eliminated his accomplices, declared himself the new Zulu King and moved his people back north leaving Dukuza to the bush and wild animals. Fifty years after King Shaka’s murder, the Anglo- Zulu War finally erupted near Dukuza, and important reminders of this conflict are today encompassed within the much-visited Harold Johnson Nature Reserve.
Legacy Of Discord And Peace
Many streets and buildings in Port Natal – now the thriving harbour- metropolis of Durban – were subsequently named after King Shaka’s colonial associates, and South Africans believed it most appropriate when Nelson Mandela revived the name Dukuza from the annals of history to a living honour for the Dolphin Coast. President Mandela was not the first Nobel Peace laureate to grace our part of the country. Between KwaDukuza-Stanger and Shakaskraal lies the former mission station of Groutville, home and burial place of South Africa’s first-ever Nobel Peace Prize winner, Chief Albert Luthuli. This renowned educator received the accolade in 1960, for seeking a non-violent solution to our country’s racial inequalities and attendant conflicts. Widely respected and honoured abroad, but routinely silenced at home, Chief Luthuli was elected President- General of the outlawed African National Congress (ANC) in 1952. He guided the ANC through that turbulent decade authored the internationally acclaimed Let My People Go in 1962, and died in 1967 while serving yet another banning order.
Taste Of Things To Come
As traditional leader of the local populace and dedicated to their economic upliftment, Chief Luthuli encouraged his people to engage in sugar farming, an industry which had begun physically reshaping the coastal belt in the mid-19th century. Edmond Morewood pioneered the South African sugar industry in 1851, growing the first commercial cane at Compensation, just south of Umhlali, and refining the sugar at his rudimentary mill. After failing to secure expansion- finance, Morewood departed our shores never to return, his memory lost for a hundred years until rediscovered by latter- day ‘sugar barons’ of the area. The Dolphin Coast’s panoramic fields of ‘green gold’ waving in the gentle sea-breeze, and the quaint, informative ‘sugar village’ of Umhlali, bear witness to the prophetic nature of Morewood’s vision.
Passage From The East
Before he sailed though, Morewood imparted to colonial authorities information that also had a profound effect on the Kingdom of the Zulu – indentured labour from India. From the outset, Zulus had shown unwillingness to become farm labourers, and as the practice of importing field hands was already operational in Ceylon and Mauritius, the government of India soon received letters of request from this country too. The first few hundred Indian families disembarked at Port Natal on November 17, 1860 journeying north by ox- wagon to those farms that had applied for labour. By 1911, when the scheme was abolished, their number had risen to well over a hundred thousand. Many Indians chose not to leave when their contracts expired, exchanging return passage for money or land. They were soon joined by entrepreneurs from the sub-continent, who arrived on their own initiative at this new frontier of opportunity. Culturally and economically, Indian influence flourishes throughout our Kingdom of the Zulu, not least along the Dolphin Coast. KwaDukuza-Stanger in particular, has a distinctly Eastern feel to its bustling central business district, and Shakaskraal closely resembles many a hamlet in rural India…transported into the heart of Africa!
The Circle Is Complete
Calculated crystals that have nothing to do with the entry.
A plane-wave DFT calculation with PBE was carried out for a relaxed SmTlOs2O8 crystal.

Space-group type ... No. 147

Cell: 6.095 6.095 7.832 Å, 90.00 90.00 120.00°
Fractional positions:
Sm 0.000 0.000 0.000
Tl 0.000 0.000 0.500
Os 0.333 0.667 0.265
Os 0.667 0.333 0.735
O 0.167 0.343 0.184
O 0.176 0.833 0.184
O 0.333 0.667 0.490
O 0.343 0.176 0.816
O 0.657 0.824 0.184
O 0.667 0.333 0.510
O 0.824 0.167 0.816
O 0.833 0.657 0.816

---

A plane-wave DFT calculation with PBE was carried out for a relaxed Sm2Tl2OsO6 crystal.

Space-group type ... No. 12

Cell: 5.944 5.944 7.187 Å, 91.57 91.57 120.58°
Fractional positions:
Sm 0.164 0.836 0.000
Sm 0.836 0.164 0.000
Tl 0.347 0.653 0.500
Tl 0.653 0.347 0.500
Os 0.500 0.500 0.000
O 0.199 0.494 0.854
O 0.218 0.218 0.147
O 0.494 0.199 0.854
O 0.506 0.801 0.146
O 0.782 0.782 0.853
O 0.801 0.506 0.146

---

A plane-wave DFT calculation with PBE was carried out for a relaxed SmTl2OsO6 crystal.

Space-group type ... No. 164

Cell: 6.426 6.426 5.914 Å, 90.00 90.00 120.00°
Fractional positions:
Sm 0.000 0.000 0.000
Tl 0.333 0.667 0.462
Tl 0.667 0.333 0.538
Os 0.000 0.000 0.500
O 0.138 0.276 0.696
O 0.138 0.862 0.696
O 0.276 0.138 0.304
O 0.724 0.862 0.696
O 0.862 0.138 0.304
O 0.862 0.724 0.304

---

A plane-wave DFT calculation with PBE was carried out for a relaxed SmTlOsO6 crystal.

Space-group type ... No. 149

Cell: 5.753 5.753 5.536 Å, 90.00 90.00 120.00°
Fractional positions:
Sm 0.000 0.000 0.000
Tl 0.667 0.333 0.500
Os 0.333 0.667 0.000
O 0.080 0.388 0.197
O 0.080 0.692 0.803
O 0.308 0.388 0.803
O 0.308 0.920 0.197
O 0.612 0.692 0.197
O 0.612 0.920 0.803

---

A plane-wave DFT calculation with PBE was carried out for a relaxed SmTm2OsO8 crystal.

Space-group type ... No. 65

Cell: 5.014 5.014 6.783 Å, 90.00 90.00 90.25°
Fractional positions:
Sm 0.000 0.000 0.000
Tm 0.500 0.500 0.247
Tm 0.500 0.500 0.753
Os 0.000 0.000 0.500
O 0.187 0.187 0.294
O 0.187 0.187 0.706
O 0.266 0.734 0.500
O 0.315 0.685 0.000
O 0.685 0.315 0.000
O 0.734 0.266 0.500
O 0.813 0.813 0.294
O 0.813 0.813 0.706

---

A plane-wave DFT calculation with PBE was carried out for a relaxed SnOs2O crystal.

Excess energy over the best structure of this formula in the dataset ... 0.605 eV per atom
Space-group type ... No. 225

Cell: 6.173 6.173 6.173 Å, 90.00 90.00 90.00°
Fractional positions:
Sn 0.000 0.000 0.000
Sn 0.000 0.500 0.500
Sn 0.500 0.000 0.500
Sn 0.500 0.500 0.000
Os 0.250 0.250 0.250
Os 0.250 0.250 0.750
Os 0.250 0.750 0.250
Os 0.250 0.750 0.750
Os 0.750 0.250 0.250
Os 0.750 0.250 0.750
Os 0.750 0.750 0.250
Os 0.750 0.750 0.750
O 0.000 0.000 0.500
O 0.000 0.500 0.000
O 0.500 0.000 0.000
O 0.500 0.500 0.500

---

| no. | uncorrected formation energy (kJ/mol of formula units) | ρ (g cm⁻³) |
| --- | --- | --- |
| 1 | -1576 | 5.69 |
| 2 | -1911 | 7.58 |
| 3 | -1334 | 6.64 |
| 4 | -1337 | 6.71 |
| 5 | -2947 | 7.85 |
| 6 | 400 | 14.55 |

* * * * *

(1)
So much for the calculated crystals.
While decades of legally entrenched racial segregation denied equal access to the fruits of our inimitable heritage, the long- sought demise of apartheid finally witnessed the Dolphin Coast’s dynamic potential reach full bloom. Built around the legend and image of ‘Ilembe’ – the ‘wise and powerful’ King Shaka – our regional authority’s title and coat-of-arms pay homage to the vibrant landscape and diverse cultural origins of today’s unique and fascinating Dolphin Coast experience. We look forward to sharing with you our insights, hospitality and all the ingredients of a stirring South African adventure!